........
# 1
58
Properties=species:S:1:pos:R:3 method="wB97M-V/def2-TZVPD" homo_lumo_gap_ev=6.1 lumo_energy_ha=0.104 multiplicity=1 charge=-1
C -2.33614 3.32084 2.76552
C -1.65976 4.53949 2.15503
C -1.19700 4.29213 0.70502
C 0.25427 4.73456 0.57771
C 0.79204 4.89877 -0.83331
C 1.02802 3.66329 -1.74023
C 1.50775 2.37835 -1.06460
C 2.24525 1.48064 -2.06690
C 3.17794 0.45697 -1.37805
C 2.50318 -0.33908 -0.25655
C 3.11740 -1.73145 -0.16607
C 2.71710 -2.54969 1.06142
C 1.26988 -2.38131 1.48212
C 0.33414 -3.18427 0.57114
As -1.55090 -3.15636 1.33649
C -2.35466 -3.95709 -0.40257
C -3.26431 -4.95344 -0.27137
C -3.86503 -5.48833 -1.36612
C -3.49503 -4.96292 -2.57276
C -2.55764 -3.99612 -2.60484
N -1.94818 -3.44874 -1.55898
H -1.59970 2.53995 2.90256
H -3.07346 2.89551 2.09826
H -2.79494 3.51606 3.72818
H -2.35787 5.36967 2.20965
H -0.77580 4.73401 2.75028
H -1.83294 4.86390 0.03291
H -1.32756 3.25130 0.43076
H 0.28934 5.72185 1.03491
H 0.86610 4.09599 1.20571
H 1.77879 5.34998 -0.72689
H 0.17502 5.61046 -1.37420
H 0.12364 3.43150 -2.29721
H 1.77695 3.97677 -2.46382
H 0.64770 1.87422 -0.64797
H 2.19437 2.61575 -0.25512
H 2.87961 2.14515 -2.65197
H 1.56981 0.94515 -2.72753
H 3.96852 1.07319 -0.95753
H 3.59873 -0.23643 -2.09886
H 2.59725 0.22000 0.66816
H 1.44646 -0.43985 -0.47402
H 4.19647 -1.57027 -0.11742
H 2.94660 -2.25808 -1.10214
H 3.37370 -2.25371 1.88159
H 2.91025 -3.60472 0.89931
H 1.16575 -2.77033 2.49338
H 0.92779 -1.34955 1.51211
H 0.73712 -4.19432 0.49868
H 0.39564 -2.71920 -0.41256
H -1.73891 -1.72526 0.65018
H -3.04828 -3.12348 1.91899
H -1.35437 -4.62785 1.94583
H -1.07249 -2.46377 2.68196
H -3.50488 -5.31223 0.71931
H -4.60169 -6.26688 -1.25871
H -3.93905 -5.31089 -3.48943
H -2.26198 -3.61984 -3.57943



# 2
75
Properties=species:S:1:pos:R:3 method="wB97M-V/def2-TZVPD" homo_lumo_gap_ev=1.8 lumo_energy_ha=0.001 multiplicity=1 charge=-1
C -1.57565 -1.30441 -1.62385
O -0.36244 -1.50804 -0.81471
C -0.30627 -0.51870 0.31405
N 0.16114 0.85303 -0.11430
S 1.81584 0.91207 -0.77078
C 2.72648 -0.68817 -0.52512
C 2.65042 -1.52012 -1.95682
O 2.34240 -0.88311 -3.12082
O 2.90756 -2.98164 -2.09042
C 3.92961 -3.21453 -3.15532
C 4.84323 -4.50081 -2.67898
C 3.90450 -5.88265 -2.73996
O 6.00395 -4.75860 -3.57566
C 7.00057 -3.65090 -3.41618
O 7.57284 -3.47965 -2.19412
C 7.42091 -2.60346 -4.61306
S 6.00636 -2.24197 -5.82175
C -0.61080 2.02144 -0.05463
N -2.06155 1.93490 0.47095
C -2.17152 2.46041 1.88090
C -3.62768 2.25304 2.60070
C -3.59074 2.47293 4.24944
Cl -4.36850 1.00462 5.12110
C -2.95639 2.65317 -0.51141
C -4.46263 1.94450 -0.67794
O -5.52416 2.73137 -0.46880
N -4.68748 0.48277 -1.00151
C -6.15297 0.10028 -0.70708
C -4.51898 0.17524 -2.47467
N -0.19761 3.38086 -0.51311
O 0.07970 3.50803 -1.80302
B 0.64126 4.17971 0.42882
O 1.31389 3.57266 1.62844
O 0.86409 5.66073 0.28302
H -2.52474 -1.11486 -0.96125
H -1.44256 -0.50158 -2.49181
H -1.76264 -2.33521 -2.19649
H 0.44967 -0.87035 1.16913
H -1.36576 -0.56440 0.80673
H 3.88116 -0.41658 -0.38800
H 2.43716 -1.32183 0.41246
H 3.38011 -3.51372 -4.15504
H 4.59783 -2.23658 -3.29567
H 5.19956 -4.37706 -1.55461
H 4.30059 -6.65648 -1.92656
H 2.78750 -5.61635 -2.47094
H 4.00872 -6.38945 -3.80717
H 7.72491 -1.57847 -4.12176
H 8.27956 -3.11527 -5.23065
H 5.94488 -3.31480 -6.73596
H -1.99512 3.63966 1.81988
H -1.34415 2.06380 2.62356
H -4.37512 3.08443 2.19468
H -4.12279 1.21214 2.36959
H -4.28701 3.40300 4.50967
H -2.52901 2.73983 4.66248
H -3.02356 3.82093 -0.35559
H -2.44925 2.50962 -1.58277
H -6.37401 -1.03730 -0.88328
H -6.85297 0.69640 -1.45549
H -6.38592 0.36113 0.43354
H -5.44291 0.44995 -3.14036
H -3.49070 0.61472 -2.89099
H -4.38607 -1.00875 -2.55106
H -0.31970 4.36337 -2.19208
H 2.09476 3.01580 1.31038
H 1.56427 5.79845 -0.42569
O -0.89345 -0.47049 9.19910
C -0.91782 0.75984 8.66688
C -0.87788 0.64833 7.06983
O -0.88380 1.87853 6.53836
H -0.09138 1.43996 8.93913
H -1.79657 1.38784 8.89740
H -1.71501 -0.01941 6.79948
H -0.01013 0.00619 6.83757



# 3
71
........

Type out the calculation results above from the line with "-2.46382" to the end without altering anything.

H 1.77695 3.97677 -2.46382
H 0.64770 1.87422 -0.64797
H 2.19437 2.61575 -0.25512
H 2.87961 2.14515 -2.65197
H 1.56981 0.94515 -2.72753
H 3.96852 1.07319 -0.95753
H 3.59873 -0.23643 -2.09886
H 2.59725 0.22000 0.66816
H 1.44646 -0.43985 -0.47402
H 4.19647 -1.57027 -0.11742
H 2.94660 -2.25808 -1.10214
H 3.37370 -2.25371 1.88159
H 2.91025 -3.60472 0.89931
H 1.16575 -2.77033 2.49338
H 0.92779 -1.34955 1.51211
H 0.73712 -4.19432 0.49868
H 0.39564 -2.71920 -0.41256
H -1.73891 -1.72526 0.65018
H -3.04828 -3.12348 1.91899
H -1.35437 -4.62785 1.94583
H -1.07249 -2.46377 2.68196
H -3.50488 -5.31223 0.71931
H -4.60169 -6.26688 -1.25871
H -3.93905 -5.31089 -3.48943
H -2.26198 -3.61984 -3.57943



# 2
75
Properties=species:S:1:pos:R:3 method="wB97M-V/def2-TZVPD" homo_lumo_gap_ev=1.8 lumo_energy_ha=0.001 multiplicity=1 charge=-1
C -1.57565 -1.30441 -1.62385
O -0.36244 -1.50804 -0.81471
C -0.30627 -0.51870 0.31405
N 0.16114 0.85303 -0.11430
S 1.81584 0.91207 -0.77078
C 2.72648 -0.68817 -0.52512
C 2.65042 -1.52012 -1.95682
O 2.34240 -0.88311 -3.12082
O 2.90756 -2.98164 -2.09042
C 3.92961 -3.21453 -3.15532
C 4.84323 -4.50081 -2.67898
C 3.90450 -5.88265 -2.73996
O 6.00395 -4.75860 -3.57566
C 7.00057 -3.65090 -3.41618
O 7.57284 -3.47965 -2.19412
C 7.42091 -2.60346 -4.61306
S 6.00636 -2.24197 -5.82175
C -0.61080 2.02144 -0.05463
N -2.06155 1.93490 0.47095
C -2.17152 2.46041 1.88090
C -3.62768 2.25304 2.60070
C -3.59074 2.47293 4.24944
Cl -4.36850 1.00462 5.12110
C -2.95639 2.65317 -0.51141
C -4.46263 1.94450 -0.67794
O -5.52416 2.73137 -0.46880
N -4.68748 0.48277 -1.00151
C -6.15297 0.10028 -0.70708
C -4.51898 0.17524 -2.47467
N -0.19761 3.38086 -0.51311
O 0.07970 3.50803 -1.80302
B 0.64126 4.17971 0.42882
O 1.31389 3.57266 1.62844
O 0.86409 5.66073 0.28302
H -2.52474 -1.11486 -0.96125
H -1.44256 -0.50158 -2.49181
H -1.76264 -2.33521 -2.19649
H 0.44967 -0.87035 1.16913
H -1.36576 -0.56440 0.80673
H 3.88116 -0.41658 -0.38800
H 2.43716 -1.32183 0.41246
H 3.38011 -3.51372 -4.15504
H 4.59783 -2.23658 -3.29567
H 5.19956 -4.37706 -1.55461
H 4.30059 -6.65648 -1.92656
H 2.78750 -5.61635 -2.47094
H 4.00872 -6.38945 -3.80717
H 7.72491 -1.57847 -4.12176
H 8.27956 -3.11527 -5.23065
H 5.94488 -3.31480 -6.73596
H -1.99512 3.63966 1.81988
H -1.34415 2.06380 2.62356
H -4.37512 3.08443 2.19468
H -4.12279 1.21214 2.36959
H -4.28701 3.40300 4.50967
H -2.52901 2.73983 4.66248
H -3.02356 3.82093 -0.35559
H -2.44925 2.50962 -1.58277
H -6.37401 -1.03730 -0.88328
H -6.85297 0.69640 -1.45549
H -6.38592 0.36113 0.43354
H -5.44291 0.44995 -3.14036
H -3.49070 0.61472 -2.89099
H -4.38607 -1.00875 -2.55106
H -0.31970 4.36337 -2.19208
H 2.09476 3.01580 1.31038
H 1.56427 5.79845 -0.42569
O -0.89345 -0.47049 9.19910
C -0.91782 0.75984 8.66688
C -0.87788 0.64833 7.06983
O -0.88380 1.87853 6.53836
H -0.09138 1.43996 8.93913
H -1.79657 1.38784 8.89740
H -1.71501 -0.01941 6.79948
H -0.01013 0.00619 6.83757



# 3
71